The Clean Energy Future Blog
The Value of Public Investment in Green Banks
By Coalition for Green Capital
The track record shows that a Green Bank can drive more investment, more clean energy, and more CO2 reduction per dollar of public cost than current programs.
The longest running Green Banks in the U.S. have now been operating for over five years. Green Banks have driven over $2 billion of clean energy investment in the U.S., and $26 billion globally as of 2016. Collectively those Green Banks have driven more than $3 of private investment per each $1 of public investment used.
But, now that the track record exists, it is important to ask if Green Banks really are accomplishing good outcomes and getting value for public money. Should policymakers invest public money in Green Banks?
A simple way to answer that question is to compare Green Bank outcomes to those of what can be considered the “benchmark” policy for clean energy investment across the country – utility efficiency incentive programs. Utilities use ratepayer and public funds across the country to offer nearly $8 billion per year through incentive programs to spur demand for efficiency and “procure least cost resources.” Regulators direct utilities to operate these programs to reduce overall energy demand and defer construction of new generation capacity.
Green Banks are intended to achieve similar (though slightly different) energy, economic and environmental outcomes. They seek to maximize the deployment of affordable clean energy (renewable and efficiency) and maximize total investment (both public and private). Green Banks use a range of financing techniques and program design structures to draw in capital and make markets grow.
Incentives and Green Banks are complementary and often are used together in the same project. Cash grants and rebates can entice demand, and financing can enable would-be adopters to buy clean energy technology with no upfront cost. It is not an either/or. Since incentive programs exist everywhere, though, they provide a useful basis of comparison of what energy, economic and environmental outcomes can be achieved with public investment.
The best point of comparison is Connecticut, whose Green Bank has operated for over five years. And because the Green Bank was capitalized by re-directing a small portion of the funds previously used for incentives, the state provides a test case for Green Bank evaluation.
The case for Green Banks is clear. On many energy, economic and environmental metrics, the Connecticut Green Bank has superior outcomes.
- In the three years from 2014 to 2016, the CT Green Bank has saved or generated 50% more clean energy per dollar of public cost than the incentive programs. Even if the Green Bank lost every dollar it loaned (turning that loan into a cost), the Green Bank would still perform on par with incentive programs.
- And the Green Bank has reduced 50% more CO2 emissions per dollar of public cost than incentives. Again, even if the Green Bank lost every dollar it loaned, the Green Bank would still perform as well as the incentive programs.
- Green Banks leverage more private clean energy investment per dollar of public investment than the incentive programs. Over the last three years, the Green Bank leveraged $4.65 of private investment per dollar of public investment, compared to only 90 cents of private investment for incentive programs.
- The Green Bank also puts more of its money into project investment rather than operating expenses. Over the last three years, only 25% of the funds used by the Green Bank went to operating expenses. For the utility incentives, this figure is 34%.
- The higher leverage and operating efficiency means that the Green Bank drives 5x more clean energy investment per dollar of public cost than the incentive programs.
- In addition to realizing greater energy, environmental and investment outcomes, the Green Bank has actually paid dividends to the state. The Green Bank has paid $25.4 million to the state government to fill budget shortfalls. This is possible because the Green Bank preserves capital by offering financing. Incentive programs cannot make these kinds of direct cash dividends.
By these measures of capital efficiency and outcomes, Green Banks represent a strong and wise investment of public funds. And policymakers around the country can realize similar benefits by creating and funding their own Green Banks.
As stated before, Green Banks and incentives are complementary. There need not be a debate between financing versus subsidies (though some organizations continually want to force that debate). But a data-driven analysis shows us that Green Banks can clearly improve the energy, economic and environmental outcomes any state aims to achieve through public investment in clean energy deployment.
Click here for the details of the supporting analysis.
CGC Roundtable: Green Banks in Emerging Markets
By Coalition for Green Capital
The Coalition for Green Capital hosted a high-level roundtable on Green Banks in Emerging Markets on April 21, 2017 in Washington, DC. The event, organized alongside the IMF spring meetings, featured leading climate finance experts from government, private finance and the NGO community. The day was organized as a discussion, exploring how Green Banks (through either purpose-built entities or adaptations of existing institutions) might facilitate an increased flow of investment into low-carbon projects in developing economies at the scale required to achieve international climate goals. The session was engaged, wide-ranging and productive and was grounded in an understanding that business-as-usual will not get us to our goals. As estimated by the OECD, post-Paris commitments by Development Financial Institutions will result in an approximate increase of $46 billion annually (including public finance + private leverage) towards the annual low-carbon investment gap[1]. This only fills 6.1% of the IEA estimated $759 billion annual gap that exists between current investment levels and the “Meet NDC” scenario[2].
The discussion was also grounded in an understanding that getting private capital to move quickly and at scale will require market conditions that will support both competitive returns and provide affordable low-carbon for customers. To achieve these conditions of attractive returns and affordable energy, discussion focused on understanding the gaps and barriers that need to be bridged and how national Green Banks can play a useful role in the evolving climate finance architecture.
A key take away from the discussion was that Green Banks offer a flexible model for country-specific approaches. It was noted that form must follow local function, and the first step is to identify what local barriers exist. Taking the Green Bank concept forward, will require a shift from the general macro concept to identifying country-specific opportunities around priority markets, gaps and barriers. Participants acknowledged that powerful new approaches are needed that are focused, accelerated, dedicated, at scale and local.
It was also noted that the time is ripe for innovative thinking about local ownership of climate finance. Participants pointed out that investment decisions are inherently local, and there is growing demand for local solutions. Post-Paris, as countries around the world look to convert their NDCs into investment pipelines, Green Banks offer a useful mechanism to support local ownership and increasing investment in a way that allows for autonomy, flexibility and valuable political signaling.
Major themes of discussion centered on speed, scale, focus, retail and wholesale bridges, capacity (either new or adapted) and mainstreaming green investment. The discussion also focused on the need to address resilience and adaption as part of the climate finance approach in emerging markets.
Next steps coming out of the event are for CGC to incorporate the ideas and thinking that emerged from the scoping session into recommendations for the Hewlett Foundation on how to approach Green Bank creation (through new and/or existing institutions) in developing countries. CGC’s approach will focus on two broad levels. First, we will work to identify a small set of promising pilot countries or sub-national locations for potential Green Banks and build a phased implementation plan around these initial locations. Secondly, we will use these pilot projects to develop systematic approaches to institutional engagement of capital providers, investors and other major stakeholders in the clean energy finance architecture.
[1] OECD, “2020 Projections of Climate Finance Towards the USD 100 Billion Goal; Technical Note,” 2016.
[2] Clean energy includes renewable energy, energy efficiency, and other low-carbon technologies, such as nuclear and CCS. IEA, “World Energy Outlook – 2016,” OECD/IEA, 2016.
By Coalition for Green Capital
Reed Hundt, the CEO of Coalition for Green Capital, recently delivered a presentation for the International Monetary Fund on the potential for clean energy and 5G communications technology to drive global economic growth.
Reed discusses the clean energy investment opportunity presented by the annual global investment need of $200 billion over the next 25 years. The amount of total investment in energy doesn’t need to change—but the share of investment that goes to carbon vs clean must be reversed. This “big switch” is an opportunity that will drive global growth, and increase climate security.
The slides for Reed’s presentation are available here.
By Coalition for Green Capital
Since the first Green Banks in the US were founded, the number and investing pace of these institutions has ramped up.
CGC reviewed annual reports and transactions at six US-based Green Banks from their inception through fiscal year 2016. At the end of 2016, the transactions these institutions participated in represented more than $1.6 billion of cumulative clean energy investment. Nearly $1 billion of that total came from private sources, demonstrating the continuing ability of Green Banks to leverage private dollars.
The investment pace is poised to accelerate in fiscal year 2017. Last month NY Green Bank announced the close of 13 transactions, totaling over $900 million. This set of transactions alone places total investment well over the $2 billion mark.
The six Green Banks reviewed were: the California Lending for Energy and Environmental Needs (CLEEN) Center, the Connecticut Green Bank, the Hawaii Green Energy Market Securitization (GEMS) Program, the Montgomery County Green Bank, the NY Green Bank, and the Rhode Island Infrastructure Bank.
By Coalition for Green Capital
In work related to COP 21 in Paris, the Climate Policy Initiative (CPI) called for use of a systemic platform across the financial system to support creative collaboration to expand innovation in climate finance. This call for building a coalition across the financial system and coordinating efforts through a systemic platform is identified in CPI’s The Global Landscape of Climate Finance. The Coalition for Green Capital and the Natural Resources Defense Council, have partnered with a group of six Green Banks to create a new international Green Bank Network to help increase and accelerate investment in renewable energy and energy efficiency worldwide. This new platform is the kind of systemic collaboration that CPI has identified as a powerful driver for taking clean energy finance and investment to scale through sharing best practices and innovations and expanding the growing network of Green Banks across states and countries. This new initiative will be launched on Dec 7 at an OECD COP 21 session on “Green Investment Banks: Leveraging Innovative public finance to scale up low carbon investment.”
By Coalition for Green Capital
Two new reports from global leaders in climate finance identify the important role that public capital should play in scaling up private investment. Though neither explicitly names Green Banks, both effectively articulate the need for Green Bank-like solutions.
One report, from the Climate Policy Initiative, on key lessons in climate finance emphasizes the interaction of public and private finance:
National and international public finance play key roles building projects’ bankability by covering viability and knowledge gaps, driving huge increases in investment from the private sector.
Another report, authored by the International Finance Corporation, says there are $23 trillion in climate investment opportunities, and that public investment will play a crucial role in facilitating more private investment in that space:
Using public finance to scale up support for project preparation and development can play a critical role in encouraging investment. Furthermore, to attract private capital, investments must have adequate risk-adjusted returns and be of suitable size. This is particularly important in newer climate business areas where perceived risk is high, such as energy storage, or where aggregation models are unfamiliar in a developing-country context. Governments can increase their efforts to reduce risk (for example, by blending public and private finance), while also helping to aggregate smaller, de-risked assets, diversified across sectors and geographies, to attract institutional investors.
Both reports highlight the need for public dollars to prime the pump for private investment in clean energy. This exactly the role of Green Banks!
Green Banks have a proven history of doing exactly what these reports call for—deploying public capital to de-risk and increase private investment in clean energy projects. Examples of successful Green Banks include the Connecticut Green Bank, NY Green Bank, UK Green Investment Bank, Rhode Island Infrastructure Bank, and the Australian Clean Energy Finance Corporation—each Green Bank has used public dollars to increase private investment in clean energy. And by leveraging more private investment, Green Banks increase the impact of each public dollar devoted to deploying clean energy.
_These materials data were left in the piece by mistake_
+++
(1)
Theoretical X-ray powder pattern of K2PrYSe4 for λ = 1.5418 Å (Cu Kα), from a DFT-relaxed cell (GGA-PBE, Alexandria).
Intensities are scaled so that the largest is 100.

Peak list (8 most intense, 10° ≤ 2θ ≤ 80°, low angle first)
2θ 11.5, d 7.702, intensity 38, hkl 0 0 1
2θ 28.5, d 3.130, intensity 100, hkl 1 1 1
2θ 36.4, d 2.470, intensity 15, hkl 2 0 -3
2θ 39.5, d 2.282, intensity 34, hkl 1 1 -3
2θ 42.0, d 2.150, intensity 36, hkl 0 2 0
2θ 51.6, d 1.772, intensity 18, hkl 2 2 -2
2θ 65.0, d 1.434, intensity 11, hkl 0 2 4
2θ 68.6, d 1.368, intensity 15, hkl 1 3 1

Cell and atoms:
a = 7.4489 Å, b = 4.3012 Å, c = 8.0918 Å
α = 90.00°, β = 107.86°, γ = 90.00°
Space group P2/m (No. 10)
Asymmetric unit:
K (0.0000, 0.0000, 0.0000) x1
K (0.5000, 0.5000, 0.0000) x1
Pr (0.0000, 0.5000, 0.5000) x1
Y (0.5000, 0.0000, 0.5000) x1
Se (0.2453, 0.0000, 0.7106) x2
Se (0.2726, 0.5000, 0.2932) x2



(2)
Theoretical X-ray powder pattern of KTbPr2 for λ = 1.5418 Å (Cu Kα), from a DFT-relaxed cell (GGA-PBE, Alexandria).
Intensities are scaled so that the largest is 100.

Peak list (8 most intense, 10° ≤ 2θ ≤ 80°, low angle first)
2θ 26.4, d 3.377, intensity 41, hkl 0 0 12
2θ 28.3, d 3.150, intensity 68, hkl 0 1 2
2θ 30.1, d 2.968, intensity 100, hkl 0 1 5
2θ 32.0, d 2.793, intensity 35, hkl 1 0 7
2θ 33.2, d 2.700, intensity 47, hkl 0 0 15
2θ 35.8, d 2.506, intensity 88, hkl 1 0 10
2θ 49.5, d 1.841, intensity 37, hkl 1 1 0
2θ 60.9, d 1.521, intensity 29, hkl 1 1 15

Cell and atoms:
a = 3.6824 Å, b = 3.6824 Å, c = 40.5197 Å
α = 90.00°, β = 90.00°, γ = 120.00°
Space group R-3m (No. 166, hexagonal axes)
Asymmetric unit:
K (0.0000, 0.0000, 0.0000) x3
Tb (0.0000, 0.0000, 0.5000) x3
Pr (0.0000, 0.0000, 0.0955) x6



(3)
Theoretical X-ray powder pattern of KPr2Te3 for λ = 1.5418 Å (Cu Kα), from a DFT-relaxed cell (GGA-PBE, Alexandria).
Intensities are scaled so that the largest is 100.

Peak list (8 most intense, 10° ≤ 2θ ≤ 80°, low angle first)
2θ 26.9, d 3.313, intensity 100, hkl 0 1 2
2θ 37.5, d 2.400, intensity 36, hkl 1 0 4
2θ 39.4, d 2.288, intensity 38, hkl 1 1 0
2θ 48.3, d 1.883, intensity 20, hkl 2 0 2
2θ 55.5, d 1.656, intensity 12, hkl 0 2 4
2θ 61.4, d 1.510, intensity 12, hkl 1 1 6
2θ 64.0, d 1.454, intensity 17, hkl 1 2 2
2θ 70.1, d 1.342, intensity 11, hkl 2 1 4

Cell and atoms:
a = 4.5769 Å, b = 4.5769 Å, c = 12.0642 Å
α = 90.00°, β = 90.00°, γ = 120.00°
Space group P-3m1 (No. 164)
Asymmetric unit:
K (0.0000, 0.0000, 0.0000) x1
Pr (0.3333, 0.6667, 0.6552) x2
Te (0.0000, 0.0000, 0.5000) x1
Te (0.3333, 0.6667, 0.1954) x2



(4)
Theoretical X-ray powder pattern of K3Pt for λ = 1.5418 Å (Cu Kα), from a DFT-relaxed cell (GGA-PBE, Alexandria).
Intensities are scaled so that the largest is 100.

Peak list (8 most intense, 10° ≤ 2θ ≤ 80°, low angle first)
2θ 11.9, d 7.460, intensity 100, hkl 0 0 1
2θ 15.3, d 5.802, intensity 100, hkl 1 0 0
2θ 22.5, d 3.955, intensity 62, hkl 0 1 1
2θ 28.3, d 3.149, intensity 28, hkl 2 0 -1
2θ 29.9, d 2.993, intensity 49, hkl 1 1 -2
+++
Green Banks are an important and effective tool in climate and energy finance. Global thought leaders clearly understand the value of the Green Bank approach. Now the institutional model needs to be spread around the world. This coming week, NRDC will hosting an event on Green Banks at COP22 in Morocco, and CGC will be speaking about Green Banks at an IDB-hosted conference in Lima on innovative finance.
The Clean Energy Future Blog
-- Between two parts of the piece: data records --
'''
For Th3TlCo2, a DFT-relaxed cell (PBE, Alexandria) gives the computed PXRD pattern in this record (Cu Kα, 1.54184 Å).

Peak list (10 most intense, 2θ = 5–70°, by intensity)
hkl 0 1 2, 2θ 28.44, rel. 100; hkl 2 1 1, 2θ 34.98, rel. 73; hkl 2 0 3, 2θ 35.40, rel. 62; hkl 2 1 2, 2θ 37.99, rel. 44; hkl 2 1 5, 2θ 55.28, rel. 35; hkl 0 0 4, 2θ 33.54, rel. 28; hkl 2 2 3, 2θ 60.08, rel. 28; hkl 4 1 2, 2θ 59.03, rel. 27; hkl 0 2 0, 2θ 46.87, rel. 24; hkl 2 1 0, 2θ 33.93, rel. 21

Cell lengths 7.2214, 3.8771, 10.6862 Å; angles 90.00, 90.00, 90.00 degrees
Fractional coordinates of all 12 atoms:
Th (0.0000, 0.0000, 0.0000)
Th (0.0008, 0.5000, 0.2897)
Th (0.4992, 0.5000, 0.2897)
Th (0.5000, 0.0000, 0.0000)
Th (0.5008, 0.5000, 0.7103)
Th (0.9992, 0.5000, 0.7103)
Tl (0.2500, 0.0000, 0.5003)
Tl (0.7500, 0.0000, 0.4997)
Co (0.2500, 0.0000, 0.7725)
Co (0.2500, 0.5000, 0.0925)
Co (0.7500, 0.0000, 0.2275)
Co (0.7500, 0.5000, 0.9075)

~~~~~

Diffraction record for CaB4Mo. The powder XRD pattern is calculated, not measured: it uses a DFT-relaxed cell (GGA-PBE, Alexandria) and a wavelength of 1.5418 Å.
No peak broadening, texture or thermal motion is included.

Crystal structure
```
CaB4Mo
1.0
6.1190 0.0000 0.0000
0.0000 11.8202 0.0000
0.0000 0.0000 3.5357
Ca B Mo
4 16 4
direct
0.1247 0.1512 0.0000
0.3753 0.6512 0.0000
0.6247 0.3488 0.0000
0.8753 0.8488 0.0000
0.0217 0.6937 0.5000
0.1150 0.5476 0.5000
0.1333 0.9677 0.5000
0.2094 0.8140 0.5000
0.2906 0.3140 0.5000
0.3667 0.4677 0.5000
0.3850 0.0476 0.5000
0.4783 0.1937 0.5000
0.5217 0.8063 0.5000
0.6150 0.9524 0.5000
0.6333 0.5323 0.5000
0.7094 0.6860 0.5000
0.7906 0.1860 0.5000
0.8667 0.0323 0.5000
0.8850 0.4524 0.5000
0.9783 0.3063 0.5000
0.1281 0.4162 0.0000
0.3719 0.9162 0.0000
0.6281 0.0838 0.0000
0.8719 0.5838 0.0000
'''
for links, analysis, and commentary on the world of green banks and clean energy investment